Melvin Laird, the secretary of defense under Richard Nixon, died today. He was 94.
A lot of old-timers probably weren’t even aware the Carleton College alum was still alive, except that his name has come up a few times in the last week as an example of why a president’s cabinet choices are pretty important.
### These records of molecules were left in the article by mistake
[1]
ORCA calculation (wB97M-V/def2-TZVPD) on the molecule C5H9N3 in a non-equilibrium geometry.

Summary:
E_HOMO: -8.122 eV
HOMO-LUMO gap: 8.97 eV
Structure (SMILES): [H]/N=C(\C#C)NN(C)C

Positions of all 17 atoms, in Å:
H: 1.9820 -0.8026 -3.0220
N: 1.0679 -0.7738 -2.5985
C: 0.9673 -0.6117 -1.3655
C: 1.8651 -0.5179 -0.1650
C: 2.1580 -0.7355 1.0056
N: -0.3853 -0.5199 -0.9220
N: -0.6970 0.1449 0.2426
C: -0.7713 1.6221 0.1728
C: -1.2790 -0.6450 1.2381
H: 2.3691 -0.6478 2.0553
H: -0.8330 -0.1050 -1.7303
H: -1.7895 1.9930 0.1627
H: -0.1404 1.9843 -0.7146
H: -0.2259 1.9864 1.0363
H: -2.3654 -0.6084 1.0890
H: -1.0001 -0.0900 2.1997
H: -0.9223 -1.6730 1.3157

The Löwdin scheme yields these atomic charges, measured in e:
1 H 0.054
2 N 0.133
3 C -0.441
4 C -0.022
5 C 0.121
6 N 0.001
7 N -0.351
8 C -0.044
9 C -0.110
10 H 0.038
11 H 0.118
12 H 0.068
13 H 0.111
14 H 0.066
15 H 0.074
16 H 0.101
17 H 0.083



[2]
ORCA calculation (wB97M-V/def2-TZVPD) on the molecule C31H24FN5O6 in a non-equilibrium geometry.

Summary:
E_HOMO: -9.102 eV
HOMO-LUMO gap: 9.27 eV
Structure (SMILES): O=C(OC[C@@H]1O[C@@H](n2cnc3c(N(C(=O)c4ccccc4)C(=O)c4ccccc4)ncnc32)[C@H](O)[C@H]1F)c1ccccc1

Positions of all 67 atoms, in Å:
O: 2.9955 0.9824 -1.5387
C: 3.8599 0.1561 -1.7110
O: 4.7047 -0.2301 -0.7341
C: 4.4944 0.3415 0.5448
C: 3.2308 -0.2290 1.1865
O: 3.1248 0.2174 2.5259
C: 2.2508 -0.6627 3.1803
N: 0.8824 -0.2788 2.8848
C: 0.4394 1.0214 2.9910
N: -0.7177 1.2390 2.4623
C: -1.1085 0.0289 1.9550
C: -2.1702 -0.3967 1.1592
N: -3.1765 0.4777 0.7358
C: -3.8658 1.2033 1.7309
O: -3.8397 0.8476 2.8813
C: -4.5638 2.4108 1.2454
C: -3.9703 3.2661 0.3211
C: -4.6260 4.4178 -0.0694
C: -5.8743 4.7198 0.4511
C: -6.4620 3.8771 1.3801
C: -5.8052 2.7310 1.7865
C: -3.5902 0.4157 -0.6085
O: -4.7072 0.7001 -0.9548
C: -2.5009 -0.0080 -1.5210
C: -2.7731 -0.9020 -2.5504
C: -1.7552 -1.3194 -3.3889
C: -0.4687 -0.8340 -3.2188
C: -0.2003 0.0887 -2.2195
C: -1.2115 0.5011 -1.3725
N: -2.2180 -1.6557 0.7502
C: -1.2568 -2.4854 1.1146
N: -0.1815 -2.2087 1.8278
C: -0.1077 -0.9402 2.2108
C: 2.6050 -2.0747 2.6472
O: 3.5866 -2.6925 3.4350
C: 3.2126 -1.7670 1.2675
F: 2.4611 -2.2903 0.2494
C: 4.1089 -0.5340 -2.9924
C: 3.3415 -0.1692 -4.0977
C: 3.5313 -0.8012 -5.3111
C: 4.4865 -1.7988 -5.4292
C: 5.2523 -2.1639 -4.3326
C: 5.0676 -1.5370 -3.1147
H: 4.3952 1.4289 0.4645
H: 5.3693 0.0858 1.1443
H: 2.3534 0.0919 0.6038
H: 2.4367 -0.5598 4.2562
H: 1.0412 1.7725 3.4634
H: -2.9921 3.0384 -0.0770
H: -4.1636 5.0817 -0.7848
H: -6.3872 5.6160 0.1341
H: -7.4324 4.1155 1.7894
H: -6.2464 2.0653 2.5127
H: -3.7788 -1.2755 -2.6659
H: -1.9651 -2.0289 -4.1755
H: 0.3281 -1.1703 -3.8662
H: 0.7965 0.4837 -2.0932
H: -1.0008 1.2327 -0.6048
H: -1.3554 -3.5073 0.7783
H: 1.7104 -2.6954 2.5287
H: 3.1832 -3.0691 4.2247
H: 4.2120 -2.2068 1.1922
H: 2.6058 0.6129 -3.9857
H: 2.9363 -0.5174 -6.1664
H: 4.6350 -2.2930 -6.3779
H: 5.9949 -2.9416 -4.4295
H: 5.6566 -1.8170 -2.2560

The Löwdin scheme yields these atomic charges, measured in e:
1 O 0.104
2 C -0.425
It was Laird, according to Laird himself, who kept Nixon from pushing us to the brink of nuclear war with the Soviets.
CNN, for example, reported this week:
........
(1)
{"formula": "C33H28N6O2Pt", "method": "the ωB97M-V functional and the def2-TZVPD basis", "species": ["Pt", "O", "O", "N", "N", "N", "N", "N", "N", "C", "C", "C", "C", "C", "C", "C", "C", "C", "C", "C", "C", "C", "C", "C", "C", "C", "C", "C", "C", "C", "C", "C", "C", "C", "C", "C", "C", "C", "C", "C", "C", "C", "H", "H", "H", "H", "H", "H", "H", "H", "H", "H", "H", "H", "H", "H", "H", "H", "H", "H", "H", "H", "H", "H", "H", "H", "H", "H", "H", "H"], "coordinates": [[0.22, -0.07, 0.17], [1.10, 0.31, -1.82], [5.63, -4.08, 2.00], [-2.98, -0.86, 1.27], [6.61, 1.03, -1.74], [2.29, 0.60, 0.60], [7.32, 0.28, -1.06], [-1.05, 0.23, 2.09], [-1.81, -0.35, -0.73], [-3.92, -1.47, -0.82], [-2.65, -0.68, 3.61], [5.88, -1.75, -0.85], [4.44, 0.92, -0.48], [2.66, -2.52, 3.54], [5.01, 1.13, 0.80], [-2.18, -0.42, 2.31], [4.51, 0.91, -2.88], [3.05, 0.70, -0.54], [5.97, -3.04, 1.18], [-0.37, 0.69, 3.15], [6.77, -0.83, -0.32], [5.48, -2.86, -0.11], [1.67, -2.86, 4.45], [-2.87, -0.88, -0.11], [1.05, -2.48, 1.71], [0.71, -2.20, 0.32], [-1.92, -0.24, 4.68], [-0.75, 0.48, 4.46], [6.89, -2.13, 1.71], [5.18, 0.94, -1.68], [0.37, -3.04, 3.98], [2.36, -2.34, 2.20], [4.79, -5.08, 1.46], [2.36, 0.55, -1.80], [-2.77, -0.94, -2.84], [2.87, 0.72, 1.77], [4.24, 1.03, 1.91], [-1.78, -0.38, -2.08], [7.30, -1.06, 0.95], [-3.87, -1.50, -2.19], [0.06, -2.85, 2.64], [3.13, 0.70, -2.95], [7.28, -2.30, 2.70], [-0.17, -2.74, -0.03], [5.09, 1.00, -3.79], [5.26, -5.57, 0.60], [-0.42, -3.32, 4.67], [-0.95, -3.00, 2.29], [6.06, 1.38, 0.88], [-0.15, 0.86, 5.27], [-3.83, -1.30, 1.59], [4.65, -5.81, 2.25], [4.65, 1.17, 2.90], [2.63, 0.63, -3.91], [2.27, 0.54, 2.64], [8.04, -0.36, 1.33], [3.68, -2.40, 3.87], [-2.69, -0.94, -3.92], [-3.58, -1.22, 3.75], [1.91, -3.01, 5.49], [-4.76, -1.89, -0.28], [-0.89, 0.05, -2.52], [3.15, -2.07, 1.50], [1.54, -2.32, -0.37], [-2.27, -0.43, 5.69], [4.80, -3.57, -0.55], [0.51, 1.27, 2.92], [-4.68, -1.95, -2.75], [3.82, -4.68, 1.17], [5.49, -1.62, -1.85]], "multiplicity": 3, "lumo_energy_ev": [0.228, -0.158], "s_squared": 2.01, "gap_ev": [6.052, 6.650]}

---

(2)
........
In his authorized biography, former Secretary of Defense Laird tells the chilling story of a late-night call from Nixon in September 1970. The radical Palestinian terrorist group, the Popular Front for the Liberation of Palestine, had just hijacked four planes and flown two of them to an abandoned British airfield in Jordan. The Nixon team debated what to do. Later, in the residence, Nixon apparently lost his patience.
“[B]omb the bastards,” said Nixon, slurring his words, and then ordering the use of jets from the carrier Independence. Laird thought the order nonsensical. The only likely effect would have been to ensure the deaths of the approximately 180 passengers held hostage, when at that point they were not actually in any great danger. But Nixon wanted to send a signal to the Soviets, who sponsored the Popular Front.
Fortunately for the hostages, all of whom eventually made it home alive, and for US Middle East relations, Laird prevaricated. “I told him,” Laird later recalled for his biographer Dale Van Atta, “we would do the best we could. I didn’t have a big argument about it; I just didn’t do it.”
It gets scarier.
In October 1969, Nixon and Henry Kissinger hatched a plan to make the Soviets think the U.S. was willing to launch a nuclear strike against Moscow. To prove it, they launched B-52s with nukes and sent them to the boundaries of the Soviet Union. It’s known now as the “madman theory,” an attempt to convince Moscow that Nixon was just crazy enough to do it.
Here’s Wired’s account of the secret global nuclear alert:
The aircraft were pointed toward Moscow, but the real goal was to change the war in Vietnam. During his campaign for the presidency the year before, Richard Nixon had vowed to end that conflict. But more than 4,500 Americans had died there in the first six months of 1969, including 84 soldiers at the debacle of Hamburger Hill. Meanwhile, the peace negotiations in Paris, which many people hoped would end the conflict, had broken down. The Vietnamese had declared that they would just sit there, conceding nothing, “until the chairs rot.” Frustrated, Nixon decided to try something new: threaten the Soviet Union with a massive nuclear strike and make its leaders think he was crazy enough to go through with it. His hope was that the Soviets would be so frightened of events spinning out of control that they would strong-arm Hanoi, telling the North Vietnamese to start making concessions at the negotiating table or risk losing Soviet military support.
Secretary Laird opposed the operation, and had earlier resisted a Nixon order to prepare it. He was worried that the Soviets would either interpret the alert as an attack or — perhaps worse — a bluff.
=====
DFT (ωB97M-V with the def2-TZVPD basis set) results for C37H36N5SbV as an isolated structure.

Last column: Löwdin charge in e.
Cartesian coordinates (Å):
V (0.51, 0.84, 0.56)  0.769
C (-1.92, -0.75, -1.21)  -0.093
N (-0.76, -1.30, -0.52)  -0.053
C (0.24, -1.96, -1.37)  -0.093
C (1.46, -1.11, -1.56)  -0.274
N (1.77, -0.09, -0.78)  0.029
C (3.03, 0.36, -1.21)  -0.210
C (3.83, 1.39, -0.73)  -0.017
C (5.04, 1.58, -1.37)  -0.053
C (5.45, 0.77, -2.44)  -0.049
C (4.66, -0.26, -2.91)  0.012
C (3.45, -0.44, -2.27)  -0.166
N (2.42, -1.36, -2.46)  0.201
C (-1.83, 0.74, -1.35)  -0.274
N (-1.07, 1.48, -0.55)  0.017
C (-1.33, 2.82, -0.90)  -0.206
C (-0.82, 4.00, -0.38)  -0.016
C (-1.27, 5.18, -0.94)  -0.055
C (-2.19, 5.18, -2.00)  -0.049
C (-2.70, 4.01, -2.52)  0.012
C (-2.24, 2.84, -1.94)  -0.165
N (-2.54, 1.50, -2.20)  0.200
H (-2.10, -1.22, -2.19)  0.135
H (-2.81, -0.95, -0.61)  0.145
H (-1.06, -1.94, 0.20)  0.084
H (0.56, -2.88, -0.88)  0.149
H (-0.17, -2.25, -2.34)  0.136
H (3.55, 2.01, 0.11)  0.115
H (5.70, 2.37, -1.03)  0.117
H (6.41, 0.96, -2.91)  0.118
H (4.98, -0.88, -3.74)  0.124
H (2.40, -2.10, -3.15)  0.184
H (-0.11, 4.02, 0.45)  0.107
H (-0.91, 6.12, -0.56)  0.116
H (-2.52, 6.13, -2.41)  0.119
H (-3.42, 4.02, -3.33)  0.124
H (-3.19, 1.15, -2.89)  0.184
C (-2.00, 2.27, 3.85)  -0.076
C (-1.54, 1.43, 5.01)  -0.312
C (-2.01, 1.71, 6.29)  -0.027
C (-1.60, 0.96, 7.39)  -0.046
C (-0.72, -0.10, 7.22)  -0.060
C (-0.25, -0.40, 5.96)  -0.115
C (-0.65, 0.36, 4.86)  -0.350
Sb (0.09, -0.17, 2.99)  1.540
C (2.21, 0.00, 3.01)  -0.361
C (2.93, -0.82, 2.14)  -0.186
C (4.30, -0.72, 2.02)  -0.073
C (4.97, 0.22, 2.78)  -0.047
C (4.26, 1.07, 3.62)  -0.026
C (2.88, 1.00, 3.74)  -0.289
C (2.17, 1.97, 4.64)  -0.041
C (-0.47, -2.22, 2.92)  -0.329
C (-1.81, -2.33, 2.52)  -0.184
C (-2.44, -3.56, 2.47)  -0.073
C (-1.73, -4.70, 2.81)  -0.050
C (-0.41, -4.59, 3.22)  -0.027
C (0.25, -3.36, 3.29)  -0.282
C (1.67, -3.33, 3.78)  -0.043
H (-2.65, 3.07, 4.19)  0.086
H (-2.55, 1.68, 3.11)  0.072
H (-1.16, 2.74, 3.33)  0.057
H (-2.70, 2.53, 6.43)  0.119
H (-1.98, 1.20, 8.37)  0.117
H (-0.41, -0.68, 8.08)  0.115
H (0.43, -1.23, 5.84)  0.099
H (2.41, -1.59, 1.57)  0.088
H (4.84, -1.38, 1.36)  0.117
H (6.05, 0.31, 2.72)  0.118
H (4.80, 1.82, 4.19)  0.123
H (2.80, 2.85, 4.81)  0.090
H (1.94, 1.53, 5.61)  0.095
H (1.23, 2.33, 4.22)  0.060
H (-2.38, -1.44, 2.27)  0.088
H (-3.48, -3.62, 2.18)  0.113
H (-2.21, -5.67, 2.79)  0.117
H (0.13, -5.48, 3.51)  0.123
H (1.86, -4.20, 4.41)  0.092
H (1.89, -2.44, 4.37)  0.065
H (2.38, -3.36, 2.96)  0.079

LUMO energy (alpha / beta)   -5.5079 / -5.4741 eV
Frontier orbital gap (alpha / beta)   7.7 / 8.2 eV
Net charge   +2
Energy above the lowest of the compared OMol25 structures with the same formula, charge and spin   96.1 kJ/mol
Spin multiplicity   4

=====

ORCA calculation (wB97M-V/def2-TZVPD) on C31H46N4P2PtSi as an isolated structure at a distorted geometry.

Computed properties:
HOMO energy (spin up / spin down) ... -12.1644 / -12.1641 eV
=====
Laird, who represented the Stevens Point area of Wisconsin in Congress before joining Nixon’s cabinet, is also the man who ended the military draft.